It remains to set down everything below with every line break kept.

********
(1)
This entry pairs a crystal structure of Ba5Sn2O with its computed powder XRD pattern. Radiation: Cu Kα (weighted mean of Kα1 and Kα2). Structure: a structure optimized by DFT (GGA-PBE).
Kinematic intensities with the Lorentz-polarization factor, no thermal factor.

Largest 8 diffraction maxima, in order of rising 2θ, 2θ from 15° to 90°:
(0 2 4), 2θ = 24.5°, 3.636 Å, intensity 23.9; (1 3 1), 2θ = 25.4°, 3.509 Å, intensity 100.0; (1 3 3), 2θ = 29.5°, 3.032 Å, intensity 32.7; (1 1 5), 2θ = 31.3°, 2.855 Å, intensity 89.9; (2 0 0), 2θ = 31.7°, 2.819 Å, intensity 45.9; (0 4 4), 2θ = 33.2°, 2.698 Å, intensity 54.2; (2 4 4), 2θ = 46.6°, 1.949 Å, intensity 41.4; (1 7 5), 2θ = 55.9°, 1.645 Å, intensity 26.1

Structural model:
a = 5.6371 Å, b = 13.9388 Å, c = 17.0453 Å
α = 90.00°, β = 90.00°, γ = 90.00°
Space group Cmcm (No. 63)
Inequivalent atoms, fractional coordinates:
Ba (0.0000, 0.1117, 0.1299) x8
Ba (0.0000, 0.2513, 0.7500) x4
Ba (0.0000, 0.3869, 0.1306) x8
Sn (0.0000, 0.2500, 0.5447) x8
O (0.0000, 0.2492, 0.2500) x4


(2)
This entry pairs a crystal structure of BaSn2O4 with its computed powder XRD pattern. Radiation: Cu Kα (weighted mean of Kα1 and Kα2). Structure: a structure optimized by DFT (GGA-PBE).
Kinematic intensities with the Lorentz-polarization factor, no thermal factor.

Largest 8 diffraction maxima, in order of rising 2θ, 2θ from 15° to 90°:
(1 1 2), 2θ = 24.9°, 3.583 Å, intensity 28.9; (1 0 3), 2θ = 27.4°, 3.250 Å, intensity 52.2; (2 1 1), 2θ = 31.4°, 2.849 Å, intensity 100.0; (2 0 2), 2θ = 31.5°, 2.840 Å, intensity 52.3; (1 0 5), 2θ = 42.6°, 2.123 Å, intensity 22.3; (3 0 3), 2θ = 48.1°, 1.893 Å, intensity 18.0; (3 2 1), 2θ = 50.6°, 1.803 Å, intensity 22.1; (2 2 4), 2θ = 51.0°, 1.791 Å, intensity 37.6

Structural model:
a = 6.5877 Å, b = 6.5877 Å, c = 11.2106 Å
α = 90.00°, β = 90.00°, γ = 90.00°
Space group I4_1/a (No. 88, origin choice 2)
Inequivalent atoms, fractional coordinates:
Ba (0.0000, 0.2500, 0.1250) x4
Sn (0.0000, 0.0000, 0.5000) x8
O (0.1506, 0.0218, 0.3318) x16


(3)
This entry pairs a crystal structure of BaSn4O8 with its computed powder XRD pattern. Radiation: Cu Kα (weighted mean of Kα1 and Kα2). Structure: a structure optimized by DFT (GGA-PBE).
Kinematic intensities with the Lorentz-polarization factor, no thermal factor.

Largest 8 diffraction maxima, in order of rising 2θ, 2θ from 15° to 90°:
(1 0 1), 2θ = 20.7°, 4.292 Å, intensity 27.5; (0 0 2), 2θ = 24.1°, 3.690 Å, intensity 23.0; (1 1 0), 2θ = 29.3°, 3.046 Å, intensity 100.0; (1 0 2), 2θ = 29.5°, 3.024 Å, intensity 66.9; (2 0 2), 2θ = 42.1°, 2.146 Å, intensity 25.7; (3 0 0), 2θ = 52.0°, 1.758 Å, intensity 30.8; (3 -1 2), 2θ = 52.1°, 1.754 Å, intensity 28.2; (2 -1 4), 2θ = 58.5°, 1.578 Å, intensity 26.5

Structural model:
a = 6.0914 Å, b = 6.0914 Å, c = 7.3798 Å
α = 90.00°, β = 90.00°, γ = 120.00°
Space group P-31m (No. 162)
Inequivalent atoms, fractional coordinates:
Ba (0.0000, 0.0000, 0.0000) x1
Sn (0.3333, 0.6667, 0.2704) x4
O (0.0000, 0.3362, 0.2967) x6
O (0.3333, 0.6667, 0.0000) x2


(4)
This entry pairs a crystal structure of BaSr2Sn3O9 with its computed powder XRD pattern. Radiation: Cu Kα (weighted mean of Kα1 and Kα2). Structure: a structure optimized by DFT (GGA-PBE).
Kinematic intensities with the Lorentz-polarization factor, no thermal factor.

Largest 8 diffraction maxima, in order of rising 2θ, 2θ from 15° to 90°:
(0 2 0), 2θ = 30.4°, 2.937 Å, intensity 19.0; (1 1 4), 2θ = 30.6°, 2.919 Å, intensity 100.0; (2 2 -4), 2θ = 43.7°, 2.071 Å, intensity 24.5; (4 0 4), 2θ = 44.0°, 2.057 Å, intensity 11.4; (3 3 0), 2θ = 54.2°, 1.692 Å, intensity 18.0; (5 1 -4), 2θ = 54.4°, 1.687 Å, intensity 8.3; (6 0 0), 2θ = 54.5°, 1.684 Å, intensity 21.4; (4 0 -8), 2θ = 63.7°, 1.460 Å, intensity 11.1

Structural model:
a = 10.0970 Å, b = 5.8747 Å, c = 14.2735 Å
α = 90.00°, β = 90.25°, γ = 90.00°
Space group C2 (No. 5)
Inequivalent atoms, fractional coordinates:
Ba (0.1669, 0.0000, 0.3329) x4
Sr (0.0000, 0.4983, 0.0000) x2
********

(1)
This entry pairs a crystal structure of Ba5Sn2O with its computed powder XRD pattern. Radiation: Cu Kα (weighted mean of Kα1 and Kα2). Structure: a structure optimized by DFT (GGA-PBE).
Kinematic intensities with the Lorentz-polarization factor, no thermal factor.

Largest 8 diffraction maxima, in order of rising 2θ, 2θ from 15° to 90°:
(0 2 4), 2θ = 24.5°, 3.636 Å, intensity 23.9; (1 3 1), 2θ = 25.4°, 3.509 Å, intensity 100.0; (1 3 3), 2θ = 29.5°, 3.032 Å, intensity 32.7; (1 1 5), 2θ = 31.3°, 2.855 Å, intensity 89.9; (2 0 0), 2θ = 31.7°, 2.819 Å, intensity 45.9; (0 4 4), 2θ = 33.2°, 2.698 Å, intensity 54.2; (2 4 4), 2θ = 46.6°, 1.949 Å, intensity 41.4; (1 7 5), 2θ = 55.9°, 1.645 Å, intensity 26.1

Structural model:
a = 5.6371 Å, b = 13.9388 Å, c = 17.0453 Å
α = 90.00°, β = 90.00°, γ = 90.00°
Space group Cmcm (No. 63)
Inequivalent atoms, fractional coordinates:
Ba (0.0000, 0.1117, 0.1299) x8
Ba (0.0000, 0.2513, 0.7500) x4
Ba (0.0000, 0.3869, 0.1306) x8
Sn (0.0000, 0.2500, 0.5447) x8
O (0.0000, 0.2492, 0.2500) x4


(2)
This entry pairs a crystal structure of BaSn2O4 with its computed powder XRD pattern. Radiation: Cu Kα (weighted mean of Kα1 and Kα2). Structure: a structure optimized by DFT (GGA-PBE).
Kinematic intensities with the Lorentz-polarization factor, no thermal factor.

Largest 8 diffraction maxima, in order of rising 2θ, 2θ from 15° to 90°:
(1 1 2), 2θ = 24.9°, 3.583 Å, intensity 28.9; (1 0 3), 2θ = 27.4°, 3.250 Å, intensity 52.2; (2 1 1), 2θ = 31.4°, 2.849 Å, intensity 100.0; (2 0 2), 2θ = 31.5°, 2.840 Å, intensity 52.3; (1 0 5), 2θ = 42.6°, 2.123 Å, intensity 22.3; (3 0 3), 2θ = 48.1°, 1.893 Å, intensity 18.0; (3 2 1), 2θ = 50.6°, 1.803 Å, intensity 22.1; (2 2 4), 2θ = 51.0°, 1.791 Å, intensity 37.6

Structural model:
a = 6.5877 Å, b = 6.5877 Å, c = 11.2106 Å
α = 90.00°, β = 90.00°, γ = 90.00°
Space group I4_1/a (No. 88, origin choice 2)
Inequivalent atoms, fractional coordinates:
Ba (0.0000, 0.2500, 0.1250) x4
Sn (0.0000, 0.0000, 0.5000) x8
O (0.1506, 0.0218, 0.3318) x16


(3)
This entry pairs a crystal structure of BaSn4O8 with its computed powder XRD pattern. Radiation: Cu Kα (weighted mean of Kα1 and Kα2). Structure: a structure optimized by DFT (GGA-PBE).
Kinematic intensities with the Lorentz-polarization factor, no thermal factor.

Largest 8 diffraction maxima, in order of rising 2θ, 2θ from 15° to 90°:
(1 0 1), 2θ = 20.7°, 4.292 Å, intensity 27.5; (0 0 2), 2θ = 24.1°, 3.690 Å, intensity 23.0; (1 1 0), 2θ = 29.3°, 3.046 Å, intensity 100.0; (1 0 2), 2θ = 29.5°, 3.024 Å, intensity 66.9; (2 0 2), 2θ = 42.1°, 2.146 Å, intensity 25.7; (3 0 0), 2θ = 52.0°, 1.758 Å, intensity 30.8; (3 -1 2), 2θ = 52.1°, 1.754 Å, intensity 28.2; (2 -1 4), 2θ = 58.5°, 1.578 Å, intensity 26.5

Structural model:
a = 6.0914 Å, b = 6.0914 Å, c = 7.3798 Å
α = 90.00°, β = 90.00°, γ = 120.00°
Space group P-31m (No. 162)
Inequivalent atoms, fractional coordinates:
Ba (0.0000, 0.0000, 0.0000) x1
Sn (0.3333, 0.6667, 0.2704) x4
O (0.0000, 0.3362, 0.2967) x6
O (0.3333, 0.6667, 0.0000) x2


(4)
This entry pairs a crystal structure of BaSr2Sn3O9 with its computed powder XRD pattern. Radiation: Cu Kα (weighted mean of Kα1 and Kα2). Structure: a structure optimized by DFT (GGA-PBE).
Kinematic intensities with the Lorentz-polarization factor, no thermal factor.

Largest 8 diffraction maxima, in order of rising 2θ, 2θ from 15° to 90°:
(0 2 0), 2θ = 30.4°, 2.937 Å, intensity 19.0; (1 1 4), 2θ = 30.6°, 2.919 Å, intensity 100.0; (2 2 -4), 2θ = 43.7°, 2.071 Å, intensity 24.5; (4 0 4), 2θ = 44.0°, 2.057 Å, intensity 11.4; (3 3 0), 2θ = 54.2°, 1.692 Å, intensity 18.0; (5 1 -4), 2θ = 54.4°, 1.687 Å, intensity 8.3; (6 0 0), 2θ = 54.5°, 1.684 Å, intensity 21.4; (4 0 -8), 2θ = 63.7°, 1.460 Å, intensity 11.1

Structural model:
a = 10.0970 Å, b = 5.8747 Å, c = 14.2735 Å
α = 90.00°, β = 90.25°, γ = 90.00°
Space group C2 (No. 5)
Inequivalent atoms, fractional coordinates:
Ba (0.1669, 0.0000, 0.3329) x4
Sr (0.0000, 0.4983, 0.0000) x2